Given
[1]
ORCA calculation (ωB97M-V/def2-TZVPD) on C7H12 in the gas phase at a distorted geometry.

Results
Total charge = 0
Structure (SMILES) = CC#CCCCC
E_tot = -7451.130 eV
Highest occupied orbital energy = -8.86 eV

```
19
Properties=species:S:1:pos:R:3:mulliken_charge:R:1
C -2.48 -2.79 1.65 -1.22
C -1.69 -2.12 0.64 0.64
C -1.24 -1.27 -0.07 -0.40
C -0.75 -0.09 -0.72 -0.68
C 0.68 0.37 -0.30 -0.45
C 1.13 1.66 -0.99 -0.32
C 2.51 2.13 -0.54 -1.24
H -1.86 -3.07 2.50 0.28
H -2.95 -3.68 1.25 0.31
H -3.27 -2.11 2.01 0.31
H -1.70 0.31 -0.25 0.16
H -0.91 -0.01 -1.81 0.37
H 0.69 0.51 0.78 0.32
H 1.43 -0.42 -0.51 0.33
H 0.39 2.45 -0.77 0.30
H 1.12 1.51 -2.08 0.30
H 2.54 2.31 0.54 0.32
H 3.27 1.37 -0.77 0.32
H 2.80 3.06 -1.03 0.35
```

---

[2]
ORCA calculation (ωB97M-V/def2-TZVPD) on C7H12 in the gas phase.

Results
Total charge = 0
E_tot = -7449.488 eV
Highest occupied orbital energy = -7.80 eV

```
19
Properties=species:S:1:pos:R:3:mulliken_charge:R:1
C -2.34 -1.08 -0.34 -1.26
C -1.05 -0.53 -0.94 0.23
C -0.77 0.90 -0.68 -0.91
C 0.75 -0.05 1.70 -1.31
C 1.36 0.88 0.67 0.26
C 1.87 0.42 -0.64 -0.82
C 0.62 1.30 -0.63 0.10
H -2.62 -2.03 -0.81 0.36
H -3.15 -0.36 -0.46 0.33
H -2.21 -1.27 0.73 0.28
H -0.23 -1.26 -0.85 0.19
H -1.20 -0.40 -2.04 0.27
H -0.21 0.34 2.08 0.29
H 0.57 -1.05 1.30 0.25
H 1.43 -0.14 2.56 0.41
H 1.88 1.73 1.11 0.38
H 2.76 0.88 -1.05 0.29
H 1.75 -0.63 -0.89 0.20
H 0.80 2.35 -0.85 0.44
```

---

[3]
ORCA calculation (ωB97M-V/def2-TZVPD) on C7H12 in the gas phase at a distorted geometry.

Results
Total charge = 0
Structure (SMILES) = C=C(C)C/C=C/C
E_tot = -7449.220 eV
Highest occupied orbital energy = -8.41 eV

```
19
Properties=species:S:1:pos:R:3:mulliken_charge:R:1
C -0.11 1.74 -1.52 -0.94
C -0.60 0.96 -0.58 0.79
C -1.87 0.34 -1.00 -1.09
C -0.09 1.12 0.95 -0.47
C 0.68 -0.16 1.34 -0.41
C 0.53 -1.40 0.77 0.07
C 1.59 -2.38 0.24 -0.97
H -0.63 2.05 -2.56 0.18
H 0.66 2.54 -1.27 0.21
H -2.63 0.53 -0.15 0.24
H -2.14 0.63 -1.96 0.45
H -1.66 -0.76 -0.84 0.11
H -1.06 1.20 1.69 0.24
H 0.49 2.10 0.84 0.34
H 1.38 0.01 2.22 0.29
H -0.63 -1.68 0.35 0.12
H 2.65 -2.07 0.60 0.28
H 1.57 -2.55 -0.81 0.28
H 1.28 -3.33 0.69 0.29
```

---

[4]
ORCA calculation (ωB97M-V/def2-TZVPD) on C7H12 in the gas phase at a distorted geometry.

Results
Total charge = 0
Structure (SMILES) = C/C=C1/CC1(C)C
E_tot = -7450.534 eV
Highest occupied orbital energy = -9.06 eV

```
19
Properties=species:S:1:pos:R:3:mulliken_charge:R:1
C 0.30 -0.47 2.45 -1.01
C 0.98 0.45 1.48 -0.20
C 0.75 0.51 0.20 -0.19
C 0.77 1.38 -1.02 -1.09
C -0.16 0.13 -0.87 1.63
C 0.20 -1.12 -1.70 -1.47
C -1.68 0.29 -0.61 -1.52
H 0.05 -1.49 1.99 0.25
H -0.55 0.05 2.72 0.29
H 0.92 -0.90 3.37 0.32
H 1.85 0.96 2.04 0.27
H 0.54 2.39 -0.90 0.31
H 1.52 1.09 -1.66 0.33
H 0.23 -0.94 -2.81 0.34
H -0.59 -1.96 -1.54 0.33
H 1.21 -1.61 -1.55 0.35
H -2.21 0.39 -1.50 0.43
H -1.84 1.29 -0.13 0.36
H -2.29 -0.46 0.04 0.27
```

---

[5]
ORCA calculation (ωB97M-V/def2-TZVPD) on C7H12 in the gas phase at a distorted geometry.

Results
Total charge = 0
Structure (SMILES) = C=C/C(=C/C)CC
E_tot = -7450.855 eV
Highest occupied orbital energy = -8.68 eV

```
19
Properties=species:S:1:pos:R:3:mulliken_charge:R:1
C -1.22 2.41 -1.05 -0.73
C -0.12 1.60 -1.03 -0.52
C 0.08 0.41 -0.27 0.56
C -0.87 -0.51 -0.34 -0.38
C -1.35 -1.62 0.70 -1.09
C 1.23 0.27 0.63 -0.35
C 1.88 -1.08 0.21 -0.93
H -1.44 3.33 -1.60 0.27
H -2.01 2.20 -0.38 0.31
H 0.75 2.03 -1.61 0.25
H -1.60 -0.22 -1.11 0.44
H -2.32 -2.18 0.58 0.32
H -1.23 -1.09 1.66 0.24
H -0.68 -2.44 0.75 0.35
H 1.96 1.14 0.88 0.32
H 0.81 0.13 1.69 0.19
H 2.46 -1.18 -0.67 0.33
H 1.02 -1.70 0.06 0.12
H 2.64 -1.51 0.91 0.31
```

---

[6]
ORCA calculation (ωB97M-V/def2-TZVPD) on C7H12 in the gas phase at a distorted geometry.

Results
Total charge = 0
Structure (SMILES) = C=C(C)/C(C)=C/C
E_tot = -7451.288 eV
Highest occupied orbital energy = -8.28 eV

```
19
Properties=species:S:1:pos:R:3:mulliken_charge:R:1
C -1.51 1.80 -0.23 -0.89
C -1.21 0.47 -0.02 0.60
C -2.34 -0.56 0.01 -1.37

Brief
Could you duplicate every line above that contains the word "the"?

Solution
ORCA calculation (ωB97M-V/def2-TZVPD) on C7H12 in the gas phase at a distorted geometry.
ORCA calculation (ωB97M-V/def2-TZVPD) on C7H12 in the gas phase.
ORCA calculation (ωB97M-V/def2-TZVPD) on C7H12 in the gas phase at a distorted geometry.
ORCA calculation (ωB97M-V/def2-TZVPD) on C7H12 in the gas phase at a distorted geometry.
ORCA calculation (ωB97M-V/def2-TZVPD) on C7H12 in the gas phase at a distorted geometry.
ORCA calculation (ωB97M-V/def2-TZVPD) on C7H12 in the gas phase at a distorted geometry.